Last week one of our fellow authors made a harmless remark about the Presbyterian Church. I know Telling Your Story does not actually have a religious purpose. Nevertheless, a few interesting things have been happening in the world of American Christian churchdom. To celebrate this month, Women’s History Month, March 2017, you might want to choose to read The Red Tent (1997) by Anita Diamant. It is the story of Dinah, daughter of Jacob, and the plot takes place in the pre-Decalogue days of ancient Jewish history. Women had to go to live in the Red Tent once a month during menstruation and to go there to have their babies with the assistance of the numerous midwives.
Dinah was a midwife. Dinah finally decides to marry Shalem, son of the king of Shechem, fortified city in Egypt. Shalem and a large number of the adult men in Schechem are murdered by Simon and Reuben, two of Jacob’s sons. These two also strip brother Joseph of his colorful coat and toss him into a well. Joseph has the power of interpreting dreams so is taken up by the king of Egypt and is made into a Vizier. The Pharaohs come later. The plot goes on and on with war, betrayal, murder and generally a picture of a really blood-stained history of primitive society. It is an extremely well-written book and celebrates women, all women.
== These crystal structures were left in the text by mistake ==
'''
Simulated powder XRD pattern
Compound: LiSmMo2O8
Radiation: CuKα
Structure: DFT lattice parameters and positions (GGA+U)
Neutral-atom scattering factors, no anomalous dispersion.

Most intense lines, 2θ from 10° to 80°, by intensity:
d_spacing	Rel. int.	(hkl)
3.187	100	1 1 1
2.991	76	1 1 -3
4.385	36	1 0 -2
4.694	35	1 0 0
5.179	34	0 1 1
2.964	30	0 1 3
3.893	26	0 1 2
2.528	25	2 0 -2

Structural model:
```
data_LiSmMo2O8
_chemical_formula_sum 'Li2 Sm2 Mo4 O16'
_space_group_name_H-M_alt 'P 1 2/c 1'
_space_group_IT_number 13
_cell_length_a 5.074
_cell_length_b 6.007
_cell_length_c 11.050
_cell_angle_alpha 90.00
_cell_angle_beta 112.31
_cell_angle_gamma 90.00
loop_
_space_group_symop_operation_xyz
'x,y,z'
'-x,-y,-z'
'-x,y,-z+1/2'
'x,-y,z+1/2'
loop_
_atom_site_label
_atom_site_type_symbol
_atom_site_fract_x
_atom_site_fract_y
_atom_site_fract_z
Li1 Li 0.000 0.227 0.250
Sm1 Sm 0.500 0.294 0.750
Mo1 Mo 0.267 0.180 0.024
O1 O 0.137 0.107 0.594
O2 O 0.220 0.367 0.141
O3 O 0.297 0.366 0.902
O4 O 0.366 0.078 0.382
```
'''
Another religious book worth noting is The Shack (2007) by William Paul Young. A 50 year old religious man, Mackenzie Phillips (“Mack”) whose wife Nan refers to God as Papa, goes on an outing with his three children in an Oregon woods near Multnomah Falls, and a murderer abducts his 6 year old daughter Melissa and murders her. Local Police and even the FBI go on a search for the girl and find her blood-stained dress in a Shack. Mack looks at the red dress and is horrified. Mack gets very angry with God for permitting such a crime to have taken place. Why wasn’t God there to protect his daughter? A few months later Mack received a short note from “Papa” (from God?) asking him to come to the Shack, the scene of the last sign of Missy (Melissa) was found.
**Attached: data records:**
********
No. 1
Structure and simulated powder XRD pattern of K2CuBr3 (DFT lattice parameters and positions (PBE); a wavelength of 1.5418 Å).
Neutral-atom scattering factors, no anomalous dispersion.

The 8 most intense peaks (15 to 90 degrees two-theta), sorted by position:
22.54°, d = 3.945 Å, intensity 637; 28.11°, d = 3.174 Å, intensity 824; 28.63°, d = 3.118 Å, intensity 948; 29.48°, d = 3.030 Å, intensity 1000; 30.10°, d = 2.969 Å, intensity 631; 30.95°, d = 2.890 Å, intensity 882; 41.41°, d = 2.180 Å, intensity 735; 45.83°, d = 1.980 Å, intensity 466

Crystal structure
Cell: 12.8137 4.3610 13.3873 Å, 90.00 90.00 90.00°
Fractional positions:
K 0.0120 0.2500 0.1782
K 0.1760 0.2500 0.5158
K 0.3240 0.7500 0.0158
K 0.4880 0.7500 0.6782
K 0.5120 0.2500 0.3218
K 0.6760 0.2500 0.9842
K 0.8240 0.7500 0.4842
K 0.9880 0.7500 0.8218
Cu 0.2455 0.7500 0.3036
Cu 0.2545 0.2500 0.8036
Cu 0.7455 0.7500 0.1964
Cu 0.7545 0.2500 0.6964
Br 0.0615 0.7500 0.3610
Br 0.1325 0.2500 0.9452
Br 0.2253 0.7500 0.7096
Br 0.2747 0.2500 0.2096
Br 0.3675 0.7500 0.4452
Br 0.4385 0.2500 0.8610
Br 0.5615 0.7500 0.1390
Br 0.6325 0.2500 0.5548
Br 0.7253 0.7500 0.7904
Br 0.7747 0.2500 0.2904
Br 0.8675 0.7500 0.0548
Br 0.9385 0.2500 0.6390

=====

No. 2
Structure and simulated powder XRD pattern of K2CuMoBr6 (DFT lattice parameters and positions (PBE); a wavelength of 1.5418 Å).
Neutral-atom scattering factors, no anomalous dispersion.

The 8 most intense peaks (15 to 90 degrees two-theta), sorted by position:
16.73°, d = 5.298 Å, intensity 643; 29.20°, d = 3.059 Å, intensity 601; 33.84°, d = 2.649 Å, intensity 1000; 37.98°, d = 2.369 Å, intensity 333; 48.61°, d = 1.873 Å, intensity 690; 57.71°, d = 1.597 Å, intensity 244; 60.54°, d = 1.529 Å, intensity 232; 81.20°, d = 1.185 Å, intensity 299

Crystal structure
Cell: 7.4924 7.4924 7.4924 Å, 60.00 60.00 60.00°
Fractional positions:
K 0.2500 0.2500 0.2500
K 0.7500 0.7500 0.7500
Cu 0.0000 0.0000 0.0000
Mo 0.5000 0.5000 0.5000
Br 0.2518 0.2518 0.7482
Br 0.2518 0.7482 0.2518
Br 0.2518 0.7482 0.7482
Br 0.7482 0.2518 0.2518
Br 0.7482 0.2518 0.7482
Br 0.7482 0.7482 0.2518

=====

No. 3
Structure and simulated powder XRD pattern of K2NdCuBr6 (DFT lattice parameters and positions (PBE); a wavelength of 1.5418 Å).
Neutral-atom scattering factors, no anomalous dispersion.

The 8 most intense peaks (15 to 90 degrees two-theta), sorted by position:
15.96°, d = 5.553 Å, intensity 785; 27.83°, d = 3.206 Å, intensity 416; 32.24°, d = 2.776 Å, intensity 1000; 36.17°, d = 2.483 Å, intensity 410; 46.24°, d = 1.963 Å, intensity 701; 57.49°, d = 1.603 Å, intensity 237; 76.76°, d = 1.242 Å, intensity 293; 85.71°, d = 1.133 Å, intensity 222

Crystal structure
Cell: 7.8529 7.8529 7.8529 Å, 60.00 60.00 60.00°
Fractional positions:
K 0.2500 0.2500 0.2500
K 0.7500 0.7500 0.7500
Nd 0.0000 0.0000 0.0000
Cu 0.5000 0.5000 0.5000
Br 0.2590 0.2590 0.7410
Br 0.2590 0.7410 0.2590
Br 0.2590 0.7410 0.7410
Br 0.7410 0.2590 0.2590
Br 0.7410 0.2590 0.7410
Br 0.7410 0.7410 0.2590
********
**Back to the page:**
Mack doubted the note actually came from God but accepted the invitation, and went with a gun in case the note was a ruse, a note sent by the murderer of Melissa or other malefactor. Once Mack gets to the Shack, he falls asleep and has a dream in which he visits with God, a black woman, the Holy Spirit, an Asian woman and with Jesus. He quarrels with God, but assists Sarayu, the Holy Spirit, with arrangements for his daughter’s burial. He finds the location of his daughter’s cadaver by following red signs on rocks and trees that the murderer had previously placed there. The new male God assists Jake with this discovery.
Mack wakes up from his dream, goes with the local police and discovers Missy’s body lying in a cave. I saw the movie of this book and everybody wept when Missy gets buried in a graveyard that was heavily decorated with flowers bay Sarayu. The Shack was an unusually well-written story. It discusses Christianity honestly.
If you recall, the other religious work that impressed me was the poetry of Rumi. Last night on MSNBC I saw a documentary about a Scottish doctor who got a job with his wife Riyadh, Saudi Arabia. The Scottish doctor was gay. When he got to Riyadh, he was forced to live in a dirty apartment, and, when he tried to make contact with any of a large number of willing same-sex partners, the religious police caught on to him, they spied on him, then threatened to send him to jail. Arabian homophobia does not come from the Koran, in my opinion, it comes from the Arabian government trying to brown-nose Queen Victoria, our true larger enemy.
Speaking of Scotland, the Church of Scotland is the Presbyterian Church. Donald Trump is a Scottish Presbyterian whereas my family were English Presbyterians. The Presbyterian Church is said to be the boring church. I am spiritually a Presbyterian, although, since I do not own property or have a million dollars in the bank, I actually do not qualify to become a “real” member of the Presbyterian Church which is ever so slightly snobby. But I am still knocking on their doors.
I descend from the Reverend Robert Brown who obtained his MDiv (Master of Divinity) from the University of Glasgow in 1725 and also from the right reverend James Bishop Wilcox who established the Presbyterian seminary in Middlebury, Vermont around 1830. Reverend Robert Brown became an itinerant minister in Northern Ireland. James Bishop Wilcox married a certain Prudence Aldrich and had many children, however, many of these children were still-born. In the daguerreotype from around 1835 I used to have of Prudence Aldrich, she looked very bitter in a Puritanical sort of way. My grandmother told me that was because of the many miscarriages she suffered.
© 20 March 2017
About the Author
[Unrelated to this entry: materials data]
+++
Diffraction record for NaCd2OsO6. The X-ray diffraction stick pattern is calculated, not measured: it uses the PBE geometry in Alexandria and copper Kα.

The 12 most intense peaks (2θ = 10–80°), by angle:
Position (°2θ), d_spacing, Rel. int.
19.0, 4.672, 100
19.2, 4.632, 24
31.1, 2.875, 90
31.3, 2.859, 93
31.5, 2.841, 41
31.7, 2.819, 46
36.4, 2.471, 18
44.1, 2.054, 21
45.3, 2.001, 37
55.2, 1.665, 29
56.0, 1.642, 36
56.4, 1.632, 23

Cell and atoms:
```
20
Lattice="5.639 0.000 0.000 0.000 5.681 0.000 -5.574 0.000 8.216" Properties=species:S:1:pos:R:3 pbc="T T T"
Na 0.000 0.000 0.000
Na -2.787 2.841 4.108
Cd -2.806 0.206 6.023
Cd -0.019 2.635 1.915
Cd 0.084 3.046 6.302
Cd 2.871 5.475 2.193
Os 0.033 0.000 4.108
Os 2.820 2.841 0.000
O -0.575 0.504 2.335
O -3.362 2.337 6.443
O 1.161 3.722 0.306
O -1.626 4.800 4.414
O 2.063 1.261 0.683
O -0.724 1.579 4.791
O 0.790 4.102 3.425
O -1.997 4.420 7.533
O 1.691 0.881 3.803
O -1.096 1.960 7.911
O 3.427 3.344 1.773
O 0.640 5.177 5.882
```

Diffraction record for NaCd2PO4. The X-ray diffraction stick pattern is calculated, not measured: it uses the PBE geometry in Alexandria and copper Kα.

The 12 most intense peaks (2θ = 10–80°), by angle:
Position (°2θ), d_spacing, Rel. int.
17.8, 4.990, 47
21.0, 4.227, 51
22.2, 4.013, 100
32.3, 2.772, 40
33.5, 2.675, 45
34.6, 2.594, 18
35.4, 2.536, 21
36.0, 2.495, 17
36.1, 2.487, 31
44.2, 2.050, 15
45.2, 2.007, 22
46.3, 1.959, 17

Cell and atoms:
```
16
Lattice="9.056 0.000 0.000 0.000 6.338 0.000 -1.917 0.000 4.990" Properties=species:S:1:pos:R:3 pbc="T T T"
Na 0.000 0.000 0.000
Na 4.528 3.169 0.000
Cd 0.852 1.831 2.729
Cd 0.852 4.507 2.729
Cd 5.380 1.338 2.729
Cd 5.380 5.000 2.729
P 2.932 0.000 0.682
P 7.460 3.169 0.682
O 0.404 0.000 4.206
O 1.676 0.000 1.654
O 3.738 1.289 0.926
O 3.738 5.049 0.926
O 4.932 3.169 4.206
O 6.204 3.169 1.654
O 8.266 1.880 0.926
O 8.266 4.459 0.926
```

Diffraction record for NaCdPO4. The X-ray diffraction stick pattern is calculated, not measured: it uses the PBE geometry in Alexandria and copper Kα.

The 12 most intense peaks (2θ = 10–80°), by angle:
Position (°2θ), d_spacing, Rel. int.
17.7, 5.007, 32
22.3, 3.983, 37
27.1, 3.286, 29
30.1, 2.972, 39
32.6, 2.747, 100
35.9, 2.504, 17
38.5, 2.340, 17
41.2, 2.190, 15
42.9, 2.108, 23
45.2, 2.007, 17
45.5, 1.991, 15
55.0, 1.669, 19

Cell and atoms:
```
14
Lattice="2.972 -4.647 0.000 2.972 4.647 0.000 0.000 0.000 6.572" Properties=species:S:1:pos:R:3 pbc="T T T"
Na 0.000 0.000 0.000
Na 0.000 0.000 3.286
Cd 2.972 1.597 4.929
Cd 2.972 -1.597 1.643
P 2.972 1.347 1.643
P 2.972 -1.347 4.929
O 1.715 0.422 1.643
O 2.972 2.303 0.410
O 2.972 2.303 2.876
O 1.715 -0.422 4.929
O 4.229 0.422 1.643
O 2.972 -2.303 3.696
O 2.972 -2.303 6.162
O 4.229 -0.422 4.929
```

Diffraction record for Na2Cd3P4O14. The X-ray diffraction stick pattern is calculated, not measured: it uses the PBE geometry in Alexandria and copper Kα.

The 12 most intense peaks (2θ = 10–80°), by angle:
Position (°2θ), d_spacing, Rel. int.
+++
I was born in 1944, I lived most of my life in New York City, Queens County. I still commute there. I worked for many years as a Caseworker for New York City Human Resources Administration, dealing with mentally impaired clients, then as a social work Supervisor dealing with homeless PWA’s. I have an apartment in Wheat Ridge, CO. I retired in 2002. I have a few interesting stories to tell. My boyfriend Kevin lives in New York City. I graduated Queens College, CUNY, in 1967.